Retype only the lines underneath with the word "Properties" in them, please.

=====
Simulated powder diffractogram of PrMg3Hg9 for Cu Kα (weighted mean of Kα1 and Kα2), from a crystal structure in Alexandria, relaxed with GGA-PBE.
Peak positions follow from Bragg's law for the DFT cell and can differ from measured ones.

Cell and atoms:
```
13
Lattice="3.111 -7.104 0.000 3.111 7.104 0.000 -3.080 0.000 6.927" Properties=species:S:1:pos:R:3 pbc="T T T"
Pr 0.000 0.000 0.000
Mg -1.540 0.000 3.463
Mg 1.556 3.552 0.000
Mg 1.556 -3.552 0.000
Hg 0.007 4.643 4.613
Hg -0.117 1.539 5.448
Hg 3.136 4.643 2.314
Hg -0.117 -1.539 5.448
Hg 1.571 0.000 3.463
Hg 3.259 1.539 1.478
Hg 0.007 -4.643 4.613
Hg 3.259 -1.539 1.478
Hg 3.136 -4.643 2.314
```

Peak list (10 most intense, 10 to 90 degrees two-theta, low angle first)
2θ = 28.69°, rel. 93
2θ = 30.61°, rel. 85
2θ = 34.07°, rel. 26
2θ = 35.33°, rel. 100
2θ = 36.10°, rel. 55
2θ = 36.23°, rel. 64
2θ = 38.46°, rel. 46
2θ = 38.82°, rel. 30
2θ = 39.98°, rel. 35
2θ = 64.10°, rel. 26

----------

The following is a theoretical powder XRD pattern of K2RbZrFe. It was derived from a cell relaxed with GGA-PBE, using a wavelength of 1.5418 Å.

Main lines, sorted by position (10 to 80 degrees two-theta):
Position (°2θ), Rel. int.
12.38, 23
17.54, 53
23.79, 31
24.90, 100
26.90, 29
34.70, 23
35.50, 38
45.07, 22
48.68, 30
55.44, 20

Cell and atoms:
Cell: 7.152 7.152 4.389 Å, 90.00 90.00 90.00°
Element x y z (fractional)
K: 0.000 0.500 0.000
K: 0.500 0.000 0.000
Rb: 0.000 0.000 0.500
Zr: 0.500 0.500 0.000
Fe: 0.500 0.500 0.500

***

The following is a theoretical powder XRD pattern of K2TiFeRe. It was derived from a cell relaxed with GGA-PBE, using a wavelength of 1.5418 Å.

Main lines, sorted by position (10 to 80 degrees two-theta):
Position (°2θ), Rel. int.
13.82, 100
19.57, 86
23.98, 72
27.84, 93
31.21, 29
37.07, 47
39.78, 35
44.70, 25
49.11, 37
57.39, 23

Cell and atoms:
Cell: 6.409 6.409 4.551 Å, 90.00 90.00 90.00°
Element x y z (fractional)
K: 0.000 0.500 0.000
K: 0.500 0.000 0.000
Ti: 0.000 0.000 0.500
Fe: 0.500 0.500 0.500
Re: 0.000 0.000 0.000

***

The following is a theoretical powder XRD pattern of KFe2Rh. It was derived from a cell relaxed with GGA-PBE, using a wavelength of 1.5418 Å.

Main lines, sorted by position (10 to 80 degrees two-theta):
Position (°2θ), Rel. int.
11.82, 100
23.78, 14
33.77, 31
39.84, 49
40.13, 9
41.63, 9
41.81, 9
43.51, 14
48.37, 16
54.78, 12

Cell and atoms:
Cell: 2.829 3.766 7.485 Å, 90.00 90.51 90.00°
Element x y z (fractional)
K: 0.000 0.000 0.000
Fe: 0.497 0.500 0.349
Fe: 0.503 0.500 0.651
Rh: 0.000 0.000 0.500

***

The following is a theoretical powder XRD pattern of K2FeRh. It was derived from a cell relaxed with GGA-PBE, using a wavelength of 1.5418 Å.

Main lines, sorted by position (10 to 80 degrees two-theta):
Position (°2θ), Rel. int.
17.87, 32
24.13, 35
26.95, 70
30.18, 31
36.19, 36
37.33, 80
40.63, 100
45.68, 18
56.35, 23
59.63, 32

Cell and atoms:
Cell: 10.236 10.236 3.754 Å, 100.51 100.51 18.62°
Element x y z (fractional)
K: 0.145 0.145 0.146
K: 0.855 0.855 0.854
Fe: 0.000 0.000 0.500
Rh: 0.500 0.500 0.000

***

The following is a theoretical powder XRD pattern of K3FeS4. It was derived from a cell relaxed with GGA-PBE, using a wavelength of 1.5418 Å.

Main lines, sorted by position (10 to 80 degrees two-theta):
Position (°2θ), Rel. int.
13.63, 43
14.44, 29
25.52, 100
26.89, 31
27.45, 25
29.11, 30
31.78, 40
35.10, 26
37.46, 45
37.86, 29

Cell and atoms:
Cell: 7.809 7.809 7.809 Å, 141.46 67.37 127.06°
Element x y z (fractional)
K: 0.000 0.000 0.000
K: 0.095 0.806 0.289
K: 0.517 0.806 0.711
Fe: 0.679 0.179 0.500
S: 0.440 0.232 0.792
S: 0.440 0.647 0.208
S: 0.715 0.355 0.360
S: 0.996 0.355 0.640

***

The following is a theoretical powder XRD pattern of K7Fe5S10. It was derived from a cell relaxed with GGA-PBE, using a wavelength of 1.5418 Å.

Main lines, sorted by position (10 to 80 degrees two-theta):
Position (°2θ), Rel. int.
14.35, 100
15.35, 43
24.41, 23
26.18, 40
26.93, 19
27.13, 36
30.21, 40
30.83, 26
36.89, 22
42.58, 20
=====

Lattice="3.111 -7.104 0.000 3.111 7.104 0.000 -3.080 0.000 6.927" Properties=species:S:1:pos:R:3 pbc="T T T"